**Job:**
Now give back the whole of the block further below unchanged.

**File:**
/*
No. 1
Tl5InHgBi2 (GGA-PBE, relaxed); N(E_F) = 0.4262 states/eV per atom; formation energy from the elements = 0.21 eV/f.u.; M_tot = 0.0 μB per cell; E = -2.492 eV per atom; symmetry = Cmc2_1 (36); crystal system = orthorhombic
1.0
-2.1498 -3.2567 2.6784
6.9419 2.8252 4.8252
-8.0424 10.0063 5.7117
Bi Tl Hg In
4 10 2 2
Cartesian
1.3107 0.2501 5.5381 Bi
-2.4621 6.7130 6.1864 Bi
-2.2079 7.9551 12.0827 Bi
-2.5333 3.4744 2.1913 Bi
-3.3971 10.6730 10.2511 Tl
-0.2197 4.0713 4.7741 Tl
-1.5401 0.7723 3.8848 Tl
-1.1355 8.0873 8.9223 Tl
-3.4867 3.4222 5.5446 Tl
-4.6542 6.0021 3.5624 Tl
2.6818 3.3058 6.1722 Tl
3.8672 0.5078 7.9034 Tl
-4.6940 7.5729 9.6225 Tl
-5.7209 6.0060 6.8930 Tl
-1.5940 4.3131 8.1470 Hg
2.0556 0.6432 2.4320 Hg
-7.8741 8.2272 7.8656 In
1.1609 5.6559 7.8090 In


No. 2
Tl2InHg6Bi (GGA-PBE, relaxed); N(E_F) = 0.3270 states/eV per atom; formation energy from the elements = 0.22 eV/f.u.; M_tot = 0.0 μB per cell; E = -1.294 eV per atom; symmetry = P-1 (2); crystal system = triclinic
1.0
5.8009 -0.7721 1.6419
-0.8321 9.8307 -0.4475
3.4494 4.2562 6.1013
Hg In Tl Bi
6 1 2 1
Cartesian
7.5115 5.8219 6.8416 Hg
0.9067 7.4929 0.4542 Hg
7.4703 2.8579 5.2558 Hg
5.2523 6.3787 4.7802 Hg
*/

**Reply:**
No. 1
Tl5InHgBi2 (GGA-PBE, relaxed); N(E_F) = 0.4262 states/eV per atom; formation energy from the elements = 0.21 eV/f.u.; M_tot = 0.0 μB per cell; E = -2.492 eV per atom; symmetry = Cmc2_1 (36); crystal system = orthorhombic
1.0
-2.1498 -3.2567 2.6784
6.9419 2.8252 4.8252
-8.0424 10.0063 5.7117
Bi Tl Hg In
4 10 2 2
Cartesian
1.3107 0.2501 5.5381 Bi
-2.4621 6.7130 6.1864 Bi
-2.2079 7.9551 12.0827 Bi
-2.5333 3.4744 2.1913 Bi
-3.3971 10.6730 10.2511 Tl
-0.2197 4.0713 4.7741 Tl
-1.5401 0.7723 3.8848 Tl
-1.1355 8.0873 8.9223 Tl
-3.4867 3.4222 5.5446 Tl
-4.6542 6.0021 3.5624 Tl
2.6818 3.3058 6.1722 Tl
3.8672 0.5078 7.9034 Tl
-4.6940 7.5729 9.6225 Tl
-5.7209 6.0060 6.8930 Tl
-1.5940 4.3131 8.1470 Hg
2.0556 0.6432 2.4320 Hg
-7.8741 8.2272 7.8656 In
1.1609 5.6559 7.8090 In


No. 2
Tl2InHg6Bi (GGA-PBE, relaxed); N(E_F) = 0.3270 states/eV per atom; formation energy from the elements = 0.22 eV/f.u.; M_tot = 0.0 μB per cell; E = -1.294 eV per atom; symmetry = P-1 (2); crystal system = triclinic
1.0
5.8009 -0.7721 1.6419
-0.8321 9.8307 -0.4475
3.4494 4.2562 6.1013
Hg In Tl Bi
6 1 2 1
Cartesian
7.5115 5.8219 6.8416 Hg
0.9067 7.4929 0.4542 Hg
7.4703 2.8579 5.2558 Hg
5.2523 6.3787 4.7802 Hg